What is needed: restate the lines further down up to the one that holds "C24H35NOOsP2Si", that line included.

********
{
  "formula": "H42O21",
  "method": "the ωB97M-V functional and the def2-TZVPD basis",
  "elements": ["O", "H", "H", "O", "H", "H", "O", "H", "H", "O", "H", "H", "O", "H", "H", "O", "H", "H", "O", "H", "H", "O", "H", "H", "O", "H", "H", "O", "H", "H", "O", "H", "H", "O", "H", "H", "O", "H", "H", "O", "H", "H", "O", "H", "H", "O", "H", "H", "O", "H", "H", "O", "H", "H", "O", "H", "H", "O", "H", "H", "O", "H", "H"],
  "positions_angstrom": [[-1.58907, 0.36507, -4.58040], [-1.63976, 1.32913, -4.62498], [-1.35124, 0.28645, -3.65247], [1.10616, -0.02183, -4.19293], [1.42118, 0.51373, -4.93133], [0.24286, 0.38927, -4.06542], [3.18129, -0.99681, -3.02636], [3.06163, -1.14445, -3.96539], [2.59771, -0.28002, -2.79975], [-0.10820, -0.37920, -2.08986], [-0.10601, 0.54230, -1.89237], [0.75923, -0.77640, -2.12496], [1.12000, -3.99222, 2.79172], [1.97651, -3.56208, 2.72390], [0.48678, -3.40234, 3.18531], [-3.86200, 0.58730, -1.86943], [-3.44015, 1.01809, -2.62107], [-3.13514, 0.06797, -1.51191], [-2.53290, -2.10557, 1.07454], [-1.95312, -2.86548, 0.99093], [-2.29985, -1.40737, 0.46409], [-0.18284, 1.97095, 2.91742], [-0.29874, 2.35230, 2.01207], [-0.12853, 1.01477, 2.88261], [-4.89357, -0.98840, 0.47557], [-5.24129, -0.63415, 1.30467], [-4.36612, -1.72028, 0.86736], [-0.42889, -4.08770, 0.43426], [-0.00241, -3.23020, 0.50043], [0.03234, -4.59900, 1.11058], [1.64367, -1.64110, 0.29097], [1.84602, -1.34900, -0.59863], [1.79675, -2.58919, 0.37660], [-1.00749, 1.83458, -1.36309], [-0.25157, 1.59096, -0.81998], [-1.68338, 1.95710, -0.66736], [1.72412, 1.82721, 0.62650], [1.51382, 0.90805, 0.81188], [1.39288, 2.35561, 1.36372], [-0.58929, 3.68996, 1.00441], [-0.09665, 4.41158, 1.40366], [-0.09723, 3.36943, 0.22516], [-3.16092, 1.48349, 0.78777], [-3.73440, 0.75743, 0.49391], [-3.62082, 2.00440, 1.43789], [2.97278, 1.74443, -2.26738], [2.55162, 0.95780, -2.62989], [3.16103, 1.48026, -1.35791], [2.91141, -1.08168, 2.62029], [2.67399, -0.83408, 1.70377], [2.73514, -0.21604, 3.01426], [4.73491, -2.21405, -0.94221], [4.39690, -1.85922, -1.76588], [4.42602, -1.52576, -0.34319], [-1.01474, 0.49501, 5.29596], [-1.89185, 0.56087, 4.88495], [-0.58143, 1.03140, 4.61858], [-0.38955, -1.74195, 3.62985], [-1.03811, -2.31094, 3.19679], [-0.99097, -1.22105, 4.18596], [0.50537, 4.27136, -1.39075], [1.06112, 3.59809, -1.81502], [-0.32500, 4.01120, -1.79841]],
  "mulliken_charge": [-0.678, 0.378, 0.259, -0.465, 0.276, 0.207, -0.633, 0.284, -0.032, -0.680, 0.532, 0.082, -0.657, 0.270, 0.441, -0.582, 0.307, 0.249, -0.660, 0.406, 0.324, -0.779, 0.304, 0.391, -0.647, 0.321, 0.342, -0.667, 0.265, 0.380, -0.403, 0.187, 0.282, -0.595, 0.313, 0.373, -0.538, 0.162, 0.285, -0.646, 0.260, 0.387, -0.500, 0.269, 0.226, -0.652, 0.677, 0.316, -0.611, 0.312, 0.319, -0.633, 0.399, 0.270, -0.680, 0.353, 0.354, -0.632, 0.369, 0.228, -0.712, 0.406, 0.317],
  "e_above_lowest_kcal_mol": 163.91,
  "largest_force_ev_per_a": 2.157,
  "lumo_ha": -0.02100,
  "e_homo_ev": -11.373,
  "charge": 0
}


{
  "formula": "C24H35NOOsP2Si",
  "method": "the ωB97M-V functional and the def2-TZVPD basis",
  "elements": ["C", "C", "C", "C", "C", "C", "C", "C", "C", "C", "C", "C", "C", "H", "H", "H", "H", "H", "H", "H", "N", "Os", "C", "H", "H", "C", "H", "H", "P", "P", "C", "H", "H", "H", "C", "H", "H", "H", "C", "H", "H", "H", "C", "H", "H", "H", "C", "O", "H", "C", "Si", "C", "C", "C", "H", "H", "H", "H", "H", "H", "H", "H", "H", "H", "H"],
********

{
  "formula": "H42O21",
  "method": "the ωB97M-V functional and the def2-TZVPD basis",
  "elements": ["O", "H", "H", "O", "H", "H", "O", "H", "H", "O", "H", "H", "O", "H", "H", "O", "H", "H", "O", "H", "H", "O", "H", "H", "O", "H", "H", "O", "H", "H", "O", "H", "H", "O", "H", "H", "O", "H", "H", "O", "H", "H", "O", "H", "H", "O", "H", "H", "O", "H", "H", "O", "H", "H", "O", "H", "H", "O", "H", "H", "O", "H", "H"],
  "positions_angstrom": [[-1.58907, 0.36507, -4.58040], [-1.63976, 1.32913, -4.62498], [-1.35124, 0.28645, -3.65247], [1.10616, -0.02183, -4.19293], [1.42118, 0.51373, -4.93133], [0.24286, 0.38927, -4.06542], [3.18129, -0.99681, -3.02636], [3.06163, -1.14445, -3.96539], [2.59771, -0.28002, -2.79975], [-0.10820, -0.37920, -2.08986], [-0.10601, 0.54230, -1.89237], [0.75923, -0.77640, -2.12496], [1.12000, -3.99222, 2.79172], [1.97651, -3.56208, 2.72390], [0.48678, -3.40234, 3.18531], [-3.86200, 0.58730, -1.86943], [-3.44015, 1.01809, -2.62107], [-3.13514, 0.06797, -1.51191], [-2.53290, -2.10557, 1.07454], [-1.95312, -2.86548, 0.99093], [-2.29985, -1.40737, 0.46409], [-0.18284, 1.97095, 2.91742], [-0.29874, 2.35230, 2.01207], [-0.12853, 1.01477, 2.88261], [-4.89357, -0.98840, 0.47557], [-5.24129, -0.63415, 1.30467], [-4.36612, -1.72028, 0.86736], [-0.42889, -4.08770, 0.43426], [-0.00241, -3.23020, 0.50043], [0.03234, -4.59900, 1.11058], [1.64367, -1.64110, 0.29097], [1.84602, -1.34900, -0.59863], [1.79675, -2.58919, 0.37660], [-1.00749, 1.83458, -1.36309], [-0.25157, 1.59096, -0.81998], [-1.68338, 1.95710, -0.66736], [1.72412, 1.82721, 0.62650], [1.51382, 0.90805, 0.81188], [1.39288, 2.35561, 1.36372], [-0.58929, 3.68996, 1.00441], [-0.09665, 4.41158, 1.40366], [-0.09723, 3.36943, 0.22516], [-3.16092, 1.48349, 0.78777], [-3.73440, 0.75743, 0.49391], [-3.62082, 2.00440, 1.43789], [2.97278, 1.74443, -2.26738], [2.55162, 0.95780, -2.62989], [3.16103, 1.48026, -1.35791], [2.91141, -1.08168, 2.62029], [2.67399, -0.83408, 1.70377], [2.73514, -0.21604, 3.01426], [4.73491, -2.21405, -0.94221], [4.39690, -1.85922, -1.76588], [4.42602, -1.52576, -0.34319], [-1.01474, 0.49501, 5.29596], [-1.89185, 0.56087, 4.88495], [-0.58143, 1.03140, 4.61858], [-0.38955, -1.74195, 3.62985], [-1.03811, -2.31094, 3.19679], [-0.99097, -1.22105, 4.18596], [0.50537, 4.27136, -1.39075], [1.06112, 3.59809, -1.81502], [-0.32500, 4.01120, -1.79841]],
  "mulliken_charge": [-0.678, 0.378, 0.259, -0.465, 0.276, 0.207, -0.633, 0.284, -0.032, -0.680, 0.532, 0.082, -0.657, 0.270, 0.441, -0.582, 0.307, 0.249, -0.660, 0.406, 0.324, -0.779, 0.304, 0.391, -0.647, 0.321, 0.342, -0.667, 0.265, 0.380, -0.403, 0.187, 0.282, -0.595, 0.313, 0.373, -0.538, 0.162, 0.285, -0.646, 0.260, 0.387, -0.500, 0.269, 0.226, -0.652, 0.677, 0.316, -0.611, 0.312, 0.319, -0.633, 0.399, 0.270, -0.680, 0.353, 0.354, -0.632, 0.369, 0.228, -0.712, 0.406, 0.317],
  "e_above_lowest_kcal_mol": 163.91,
  "largest_force_ev_per_a": 2.157,
  "lumo_ha": -0.02100,
  "e_homo_ev": -11.373,
  "charge": 0
}


{
  "formula": "C24H35NOOsP2Si",